Brief =
Write out only the lines underneath with the word "in" in them.

Contents =
- - -
Below is a molecular structure, C34H50BHgO24S6 at a distorted geometry, with properties calculated with ωB97M-V with the def2-TZVPD basis set.

Positions of all 116 atoms, in Å:
H -0.69161 5.35532 0.32737
O 0.73998 -1.03246 2.03387
C -2.01381 5.42374 -1.56950
H 0.06794 -1.39268 5.35475
S 2.50149 2.01891 2.26895
H 2.51155 -3.25286 5.16137
O -2.39220 -0.14918 -4.74453
S 0.94188 -1.90831 3.18696
C -5.00271 0.24798 0.03668
H 4.21817 4.98450 1.03823
C -1.39757 -4.21161 0.77892
C -2.44509 -4.81445 -0.18142
H 0.63355 0.01600 4.52673
C 3.87796 2.84506 1.39230
H -2.22793 4.94501 -3.77285
H -3.10160 -5.50745 0.34613
S -0.20242 -3.32914 -0.25535
O -0.63831 0.12071 -2.37919
H -7.00396 1.11976 -0.29136
H -2.42451 -2.23924 3.42307
O 1.53057 1.61021 1.28092
H 2.82555 -0.23153 5.38659
O -2.52945 0.90802 -0.52245
O 0.59664 -3.46765 -4.73420
C 1.93926 3.52022 3.09527
C -0.73210 -4.29953 -1.79167
H 2.10719 -1.34763 6.54201
O 3.62435 -2.73792 -6.23758
H 4.02347 -2.37455 5.02480
H -3.04669 5.43288 -1.23378
H -4.19977 1.45784 -3.16193
O -0.71911 -1.46838 -5.43325
H -2.30432 -5.81526 -2.11732
H 3.20504 -1.38390 2.82027
H -4.53011 -0.73204 0.03712
O 1.61479 -0.31138 -0.69617
H 4.73419 -0.14905 -3.89261
C 4.46182 -1.90796 -2.51079
C 2.74606 -2.25432 3.28632
H -1.65518 2.65231 4.43592
C -6.33409 0.35186 -0.67185
C -1.15696 4.79605 -0.47927
H -1.12058 -6.30233 -0.96400
H -1.81602 4.04956 -0.02330
Hg -0.40259 0.30951 0.35549
H -1.78927 -3.53773 1.54086
O -4.22689 2.75640 -0.55695
H -3.12460 -4.01949 -0.50041
C 0.90837 -1.01063 4.77467
C 4.04305 -0.59892 -3.18253
H 0.15441 -4.54819 -2.37232
H 3.32385 1.34588 -2.26859
S -3.86961 1.36789 -0.81547
H 3.76488 2.59754 0.33909
H -0.84497 -5.02226 1.25430
H 2.42680 3.50397 4.07122
O -0.64089 -1.95311 -0.33673
C 2.47176 4.66848 2.22556
O 0.14063 -3.11748 3.29730
S 0.13727 3.76095 -1.25559
H 0.17532 4.68577 -3.39705
C -2.17846 -1.21389 3.67099
C -1.94892 -0.34936 2.63805
O -2.21615 -1.50983 6.03084
O 3.00341 1.09730 3.26820
O 0.62371 -1.31314 -3.55012
C -6.05052 0.77803 -2.17158
H -0.42027 3.01121 -3.50892
C 3.76605 0.37784 -2.03866
O 1.42095 4.44676 -1.19035
O -1.29186 1.86987 2.03315
C -1.91265 4.52269 -2.81946
H 5.47569 -1.92740 -2.11279
H 3.57186 -2.96776 -0.70935
H -1.24267 -3.54097 -2.38817
H -1.63710 6.38834 -1.91847
O 2.09784 -5.05533 -5.22489
C 2.53715 -2.69774 -5.74351
C -0.51328 3.95303 -2.97367
C -4.54251 0.79030 -2.36994
C -2.19032 -0.79099 5.04122
O -1.88736 -0.75661 1.41844
H 4.78246 0.64368 -1.72933
H -6.51980 1.75018 -2.31602
C -2.14977 0.77091 5.33072
H -4.19880 -0.21808 -2.58960
H -6.89672 -0.58093 -0.66678
B 0.54035 -1.98529 -4.88988
O -2.23110 1.12442 6.49764
H 4.57489 4.44314 2.71865
H -6.43208 0.12176 -2.95355
H 2.40721 -2.47887 -1.95271
H -2.61768 3.70662 -2.62740
H 4.45683 -2.63316 -3.32990
O 1.15161 -3.72273 0.10223
C -1.98795 1.65092 4.19656
C -1.65604 -5.42484 -1.33221
O -0.00547 2.39744 -0.81186
H 2.97104 -3.17767 2.75833
C 2.24628 -1.14846 5.48019
C 1.74794 -3.91035 -5.19083
H 2.39443 5.59860 2.79067
S 3.03427 -0.60772 -0.68706
C 3.92899 4.32205 1.85191
C -1.82333 1.11938 2.92654
H 4.78032 2.31292 1.69768
C -1.31380 -0.66990 -4.59690
H -4.93190 0.64395 1.05339
O 1.74345 -1.65264 -5.65005
H 0.86268 3.48185 3.26272
C 3.37076 -2.25081 -1.50014
H 3.10832 -0.77889 -3.71719
C 2.95538 -2.31782 4.80893
C -0.40314 -0.52935 -3.36217
O 3.92961 -0.32630 0.41708
H 1.85329 4.78992 1.33631

Cartesian forces (eV/Å) of the 6 atoms listed first:
H -0.08 0.46 -0.29
O 0.53 -0.81 1.25
C 1.07 0.49 -1.09
H 0.20 -0.33 -0.11
S 0.10 0.76 0.03
H 0.02 -0.04 0.04

Values from the calculation:
Lowest unoccupied orbital energy, eV: 1.898
Charge: -1
Calculated total energy, eV: -155075.563
HOMO-LUMO gap, eV: 6.28

***

Below is a molecular structure, C29H41AsClMgN9O2S5 at a distorted geometry, with properties calculated with ωB97M-V with the def2-TZVPD basis set.

Positions of all 89 atoms, in Å:
C -6.56700 -0.22789 1.17142
H -0.30340 -5.39652 1.21575
O 2.61058 0.47849 -4.42819
H -8.11280 1.05671 0.41650
- - -

Response =
Positions of all 116 atoms, in Å:
Positions of all 89 atoms, in Å: